**To do**
Now repeat the material underneath without additions.

**Excerpt**
........
[1]
VASP calculation (PBE) on a relaxed Na3Ga3Ge3O16 crystal.

Unit cell a=9.2325 b=9.2325 c=9.2325 alpha=90.92 beta=90.92 gamma=90.92
Closest atoms and distances in Å follow each position.
Sites, in units of the cell vectors:
Na (0.1712, 0.8282, 0.8295)  5 O 2.28-2.55
Na (0.6712, 0.3295, 0.3282)  5 O 2.28-2.55
Na (0.8282, 0.8295, 0.1712)  5 O 2.28-2.55
Na (0.3295, 0.3282, 0.6712)  5 O 2.28-2.55
Na (0.3282, 0.6712, 0.3295)  5 O 2.28-2.55
Na (0.8295, 0.1712, 0.8282)  5 O 2.28-2.55
Ge (0.9986, 0.5030, 0.7507)  4 O 1.76-1.78
Ge (0.4986, 0.2507, 0.0030)  4 O 1.76-1.78
Ge (0.5030, 0.7507, 0.9986)  4 O 1.76-1.78
Ge (0.0030, 0.4986, 0.2507)  4 O 1.76-1.78
Ge (0.7507, 0.9986, 0.5030)  4 O 1.76-1.78
Ge (0.2507, 0.0030, 0.4986)  4 O 1.76-1.78
O (0.0842, 0.3696, 0.6428)  1 Ge 1.78, 1 Ga 1.87
O (0.3639, 0.0830, 0.6370)  1 Ge 1.78, 1 Ga 1.86
O (0.3696, 0.6428, 0.0842)  1 Ge 1.78, 1 Ga 1.87
O (0.6453, 0.6533, 0.9213)  1 Ge 1.76, 1 Ga 1.84
O (0.6370, 0.3639, 0.0830)  1 Ge 1.78, 1 Ga 1.86
O (0.5703, 0.5712, 0.4146)  1 O 1.75
O (0.9146, 0.0712, 0.0703)  1 O 1.75
O (0.9157, 0.3629, 0.3537)  1 Ge 1.78, 1 Ga 1.86
O (0.4146, 0.5703, 0.5712)  1 O 1.75
O (0.4157, 0.8537, 0.8629)  1 Ge 1.78, 1 Ga 1.86
O (0.8696, 0.5842, 0.1428)  1 Ge 1.78, 1 Ga 1.87
O (0.5712, 0.4146, 0.5703)  1 O 1.75
O (0.0830, 0.6370, 0.3639)  1 Ge 1.78, 1 Ga 1.86
O (0.4372, 0.4372, 0.4372)  3 O 1.75
O (0.0712, 0.0703, 0.9146)  1 O 1.75
O (0.8629, 0.4157, 0.8537)  1 Ge 1.78, 1 Ga 1.86
O (0.8639, 0.1370, 0.5830)  1 Ge 1.78, 1 Ga 1.86
O (0.0703, 0.9146, 0.0712)  1 O 1.75
O (0.8537, 0.8629, 0.4157)  1 Ge 1.78, 1 Ga 1.86
O (0.5842, 0.1428, 0.8696)  1 Ge 1.78, 1 Ga 1.87
O (0.3537, 0.9157, 0.3629)  1 Ge 1.78, 1 Ga 1.86
O (0.9372, 0.9372, 0.9372)  3 O 1.75
O (0.1533, 0.1453, 0.4213)  1 Ge 1.76, 1 Ga 1.84
O (0.9213, 0.6453, 0.6533)  1 Ge 1.76, 1 Ga 1.84
O (0.1428, 0.8696, 0.5842)  1 Ge 1.78, 1 Ga 1.87
O (0.4213, 0.1533, 0.1453)  1 Ge 1.76, 1 Ga 1.84
O (0.6533, 0.9213, 0.6453)  1 Ge 1.76, 1 Ga 1.84
O (0.5830, 0.8639, 0.1370)  1 Ge 1.78, 1 Ga 1.86
O (0.1370, 0.5830, 0.8639)  1 Ge 1.78, 1 Ga 1.86
O (0.3629, 0.3537, 0.9157)  1 Ge 1.78, 1 Ga 1.86
O (0.1453, 0.4213, 0.1533)  1 Ge 1.76, 1 Ga 1.84
O (0.6428, 0.0842, 0.3696)  1 Ge 1.78, 1 Ga 1.87
Ga (0.2516, 0.4950, 0.0037)  4 O 1.84-1.87
Ga (0.0037, 0.2516, 0.4950)  4 O 1.84-1.87
Ga (0.5037, 0.9950, 0.7516)  4 O 1.84-1.87
Ga (0.9950, 0.7516, 0.5037)  4 O 1.84-1.87
Ga (0.7516, 0.5037, 0.9950)  4 O 1.84-1.87
Ga (0.4950, 0.0037, 0.2516)  4 O 1.84-1.87

Values from the calculation:
corrected total energy (MP2020 scheme): -294.26 eV/cell
energy: -5.45 eV/atom
formation enthalpy at 0 K: -1.64 eV per atom
symmetry: R3c (161)

---

[2]
VASP calculation (PBE) on a relaxed BaGa2Ge2O8 crystal.

Unit cell a=10.0720 b=8.9109 c=9.4806 alpha=89.62 beta=90.00 gamma=90.00
Closest atoms and distances in Å follow each position.
Sites, in units of the cell vectors:
Ba (0.9126, 0.2506, 0.6088)  7 O 2.77-2.85
Ba (0.0874, 0.7494, 0.3912)  7 O 2.77-2.85
Ba (0.4126, 0.7494, 0.8912)  7 O 2.77-2.85
Ba (0.5874, 0.2506, 0.1088)  7 O 2.77-2.85
Ga (0.3075, 0.4292, 0.5617)  4 O 1.83-1.87
Ga (0.6925, 0.5708, 0.4383)  4 O 1.83-1.87
Ga (0.0796, 0.9323, 0.7713)  4 O 1.84-1.88
Ga (0.9204, 0.0677, 0.2287)  4 O 1.84-1.88
Ga (0.8075, 0.5708, 0.9383)  4 O 1.83-1.87
Ga (0.5796, 0.0677, 0.7287)  4 O 1.84-1.88
Ga (0.1925, 0.4292, 0.0617)  4 O 1.83-1.87
Ga (0.4204, 0.9323, 0.2713)  4 O 1.84-1.88
O (0.8082, 0.0691, 0.0754)  1 Ge 1.78, 1 Ga 1.84
O (0.8081, 0.4361, 0.0897)  1 Ge 1.76, 1 Ga 1.87
O (0.9132, 0.2554, 0.3142)  1 Ge 1.78, 1 Ga 1.86
O (0.3082, 0.9309, 0.4246)  1 Ge 1.78, 1 Ga 1.84
O (0.5773, 0.4933, 0.3028)  1 Ge 1.77, 1 Ga 1.87
O (0.5868, 0.2554, 0.8142)  1 Ge 1.78, 1 Ga 1.86
O (0.9227, 0.4933, 0.8028)  1 Ge 1.77, 1 Ga 1.87
O (0.6327, 0.5576, 0.8744)  1 Ge 1.78, 1 Ga 1.87
O (0.1457, 0.2400, 0.0051)  1 Ge 1.75, 1 Ga 1.83
O (0.4132, 0.7446, 0.1858)  1 Ge 1.78, 1 Ga 1.86
O (0.1327, 0.4424, 0.6256)  1 Ge 1.78, 1 Ga 1.87
O (0.6457, 0.7600, 0.4949)  1 Ge 1.75, 1 Ga 1.83
........

**Worked solution**
[1]
VASP calculation (PBE) on a relaxed Na3Ga3Ge3O16 crystal.

Unit cell a=9.2325 b=9.2325 c=9.2325 alpha=90.92 beta=90.92 gamma=90.92
Closest atoms and distances in Å follow each position.
Sites, in units of the cell vectors:
Na (0.1712, 0.8282, 0.8295)  5 O 2.28-2.55
Na (0.6712, 0.3295, 0.3282)  5 O 2.28-2.55
Na (0.8282, 0.8295, 0.1712)  5 O 2.28-2.55
Na (0.3295, 0.3282, 0.6712)  5 O 2.28-2.55
Na (0.3282, 0.6712, 0.3295)  5 O 2.28-2.55
Na (0.8295, 0.1712, 0.8282)  5 O 2.28-2.55
Ge (0.9986, 0.5030, 0.7507)  4 O 1.76-1.78
Ge (0.4986, 0.2507, 0.0030)  4 O 1.76-1.78
Ge (0.5030, 0.7507, 0.9986)  4 O 1.76-1.78
Ge (0.0030, 0.4986, 0.2507)  4 O 1.76-1.78
Ge (0.7507, 0.9986, 0.5030)  4 O 1.76-1.78
Ge (0.2507, 0.0030, 0.4986)  4 O 1.76-1.78
O (0.0842, 0.3696, 0.6428)  1 Ge 1.78, 1 Ga 1.87
O (0.3639, 0.0830, 0.6370)  1 Ge 1.78, 1 Ga 1.86
O (0.3696, 0.6428, 0.0842)  1 Ge 1.78, 1 Ga 1.87
O (0.6453, 0.6533, 0.9213)  1 Ge 1.76, 1 Ga 1.84
O (0.6370, 0.3639, 0.0830)  1 Ge 1.78, 1 Ga 1.86
O (0.5703, 0.5712, 0.4146)  1 O 1.75
O (0.9146, 0.0712, 0.0703)  1 O 1.75
O (0.9157, 0.3629, 0.3537)  1 Ge 1.78, 1 Ga 1.86
O (0.4146, 0.5703, 0.5712)  1 O 1.75
O (0.4157, 0.8537, 0.8629)  1 Ge 1.78, 1 Ga 1.86
O (0.8696, 0.5842, 0.1428)  1 Ge 1.78, 1 Ga 1.87
O (0.5712, 0.4146, 0.5703)  1 O 1.75
O (0.0830, 0.6370, 0.3639)  1 Ge 1.78, 1 Ga 1.86
O (0.4372, 0.4372, 0.4372)  3 O 1.75
O (0.0712, 0.0703, 0.9146)  1 O 1.75
O (0.8629, 0.4157, 0.8537)  1 Ge 1.78, 1 Ga 1.86
O (0.8639, 0.1370, 0.5830)  1 Ge 1.78, 1 Ga 1.86
O (0.0703, 0.9146, 0.0712)  1 O 1.75
O (0.8537, 0.8629, 0.4157)  1 Ge 1.78, 1 Ga 1.86
O (0.5842, 0.1428, 0.8696)  1 Ge 1.78, 1 Ga 1.87
O (0.3537, 0.9157, 0.3629)  1 Ge 1.78, 1 Ga 1.86
O (0.9372, 0.9372, 0.9372)  3 O 1.75
O (0.1533, 0.1453, 0.4213)  1 Ge 1.76, 1 Ga 1.84
O (0.9213, 0.6453, 0.6533)  1 Ge 1.76, 1 Ga 1.84
O (0.1428, 0.8696, 0.5842)  1 Ge 1.78, 1 Ga 1.87
O (0.4213, 0.1533, 0.1453)  1 Ge 1.76, 1 Ga 1.84
O (0.6533, 0.9213, 0.6453)  1 Ge 1.76, 1 Ga 1.84
O (0.5830, 0.8639, 0.1370)  1 Ge 1.78, 1 Ga 1.86
O (0.1370, 0.5830, 0.8639)  1 Ge 1.78, 1 Ga 1.86
O (0.3629, 0.3537, 0.9157)  1 Ge 1.78, 1 Ga 1.86
O (0.1453, 0.4213, 0.1533)  1 Ge 1.76, 1 Ga 1.84
O (0.6428, 0.0842, 0.3696)  1 Ge 1.78, 1 Ga 1.87
Ga (0.2516, 0.4950, 0.0037)  4 O 1.84-1.87
Ga (0.0037, 0.2516, 0.4950)  4 O 1.84-1.87
Ga (0.5037, 0.9950, 0.7516)  4 O 1.84-1.87
Ga (0.9950, 0.7516, 0.5037)  4 O 1.84-1.87
Ga (0.7516, 0.5037, 0.9950)  4 O 1.84-1.87
Ga (0.4950, 0.0037, 0.2516)  4 O 1.84-1.87

Values from the calculation:
corrected total energy (MP2020 scheme): -294.26 eV/cell
energy: -5.45 eV/atom
formation enthalpy at 0 K: -1.64 eV per atom
symmetry: R3c (161)

---

[2]
VASP calculation (PBE) on a relaxed BaGa2Ge2O8 crystal.

Unit cell a=10.0720 b=8.9109 c=9.4806 alpha=89.62 beta=90.00 gamma=90.00
Closest atoms and distances in Å follow each position.
Sites, in units of the cell vectors:
Ba (0.9126, 0.2506, 0.6088)  7 O 2.77-2.85
Ba (0.0874, 0.7494, 0.3912)  7 O 2.77-2.85
Ba (0.4126, 0.7494, 0.8912)  7 O 2.77-2.85
Ba (0.5874, 0.2506, 0.1088)  7 O 2.77-2.85
Ga (0.3075, 0.4292, 0.5617)  4 O 1.83-1.87
Ga (0.6925, 0.5708, 0.4383)  4 O 1.83-1.87
Ga (0.0796, 0.9323, 0.7713)  4 O 1.84-1.88
Ga (0.9204, 0.0677, 0.2287)  4 O 1.84-1.88
Ga (0.8075, 0.5708, 0.9383)  4 O 1.83-1.87
Ga (0.5796, 0.0677, 0.7287)  4 O 1.84-1.88
Ga (0.1925, 0.4292, 0.0617)  4 O 1.83-1.87
Ga (0.4204, 0.9323, 0.2713)  4 O 1.84-1.88
O (0.8082, 0.0691, 0.0754)  1 Ge 1.78, 1 Ga 1.84
O (0.8081, 0.4361, 0.0897)  1 Ge 1.76, 1 Ga 1.87
O (0.9132, 0.2554, 0.3142)  1 Ge 1.78, 1 Ga 1.86
O (0.3082, 0.9309, 0.4246)  1 Ge 1.78, 1 Ga 1.84
O (0.5773, 0.4933, 0.3028)  1 Ge 1.77, 1 Ga 1.87
O (0.5868, 0.2554, 0.8142)  1 Ge 1.78, 1 Ga 1.86
O (0.9227, 0.4933, 0.8028)  1 Ge 1.77, 1 Ga 1.87
O (0.6327, 0.5576, 0.8744)  1 Ge 1.78, 1 Ga 1.87
O (0.1457, 0.2400, 0.0051)  1 Ge 1.75, 1 Ga 1.83
O (0.4132, 0.7446, 0.1858)  1 Ge 1.78, 1 Ga 1.86
O (0.1327, 0.4424, 0.6256)  1 Ge 1.78, 1 Ga 1.87
O (0.6457, 0.7600, 0.4949)  1 Ge 1.75, 1 Ga 1.83